• Data:
~~~
No. 1
The following is a theoretical PXRD pattern of Zn3Ga2N4. It was derived from a PBE-relaxed structure, using CuKα.
No peak broadening, texture or thermal motion is included.

Atomic structure:
```
36
Lattice="5.351 0.000 0.000 0.000 10.839 0.000 0.000 0.000 8.024" Properties=species:S:1:pos:R:3 pbc="T T T"
Zn 1.212 1.586 0.999
Zn 1.212 3.834 3.013
Zn 1.338 0.000 3.570
Zn 1.338 5.420 0.442
Zn 1.464 7.005 3.013
Zn 1.464 9.253 0.999
Zn 3.887 1.586 7.025
Zn 3.887 3.834 5.011
Zn 4.013 0.000 4.454
Zn 4.013 5.420 7.582
Zn 4.139 7.005 5.011
Zn 4.139 9.253 7.025
Ga 1.189 8.129 6.018
Ga 1.338 0.000 6.407
Ga 1.338 5.420 5.629
Ga 1.487 2.710 6.018
Ga 3.864 8.129 2.006
Ga 4.013 0.000 1.617
Ga 4.013 5.420 2.395
Ga 4.162 2.710 2.006
N 0.021 6.548 6.646
N 0.021 9.711 5.390
N 0.477 1.555 7.185
N 0.477 3.864 4.851
N 2.198 6.975 4.851
N 2.198 9.284 7.185
N 2.654 1.128 5.390
N 2.654 4.291 6.646
N 2.697 6.548 1.378
N 2.697 9.711 2.634
N 3.152 1.555 0.839
N 3.152 3.864 3.173
N 4.873 6.975 3.173
N 4.873 9.284 0.839
N 5.329 1.128 2.634
N 5.329 4.291 1.378
```

Principal peaks in the range 10 to 90 degrees two-theta, in order of rising 2θ:
27.07°, I 66
33.50°, I 76
34.54°, I 29
37.48°, I 100
37.60°, I 81
38.91°, I 79
43.58°, I 26
48.88°, I 30
62.56°, I 43
63.48°, I 28


No. 2
The following is a theoretical PXRD pattern of Zn3Ga2N4. It was derived from a PBE-relaxed structure, using CuKα.
No peak broadening, texture or thermal motion is included.

Atomic structure:
```
18
Lattice="4.382 -4.700 0.000 4.382 4.700 0.000 -0.547 0.000 5.337" Properties=species:S:1:pos:R:3 pbc="T T T"
Zn 3.972 3.230 4.003
Zn 3.156 1.469 2.131
Zn 5.334 1.469 0.537
Zn 2.883 -1.469 4.800
Zn 5.061 -1.469 3.206
Zn 4.245 -3.230 1.334
Ga 1.419 1.045 4.633
Ga 1.692 -1.045 1.964
Ga 6.525 1.045 3.373
Ga 6.799 -1.045 0.704
N 1.398 0.763 2.653
N 3.495 2.008 0.068
N 1.124 -0.763 5.321
N 4.996 2.008 2.600
N 3.221 -2.008 2.737
N 7.093 0.763 0.016
N 4.723 -2.008 5.269
N 6.820 -0.763 2.685
```

Principal peaks in the range 10 to 90 degrees two-theta, in order of rising 2θ:
33.75°, I 100
34.95°, I 62
35.47°, I 48
38.30°, I 34
44.60°, I 16
45.03°, I 39
53.45°, I 17
60.21°, I 15
60.79°, I 15
67.49°, I 16


No. 3
The following is a theoretical PXRD pattern of NaGa4. It was derived from a PBE-relaxed structure, using CuKα.
No peak broadening, texture or thermal motion is included.

Atomic structure:
```
10
Lattice="4.277 0.000 0.000 0.000 4.277 0.000 0.000 0.000 11.312" Properties=species:S:1:pos:R:3 pbc="T T T"
Na 0.000 0.000 0.000
Na 2.139 2.139 5.656
Ga 0.000 0.000 4.405
Ga 0.000 0.000 6.906
Ga 0.000 2.139 2.828
Ga 0.000 2.139 8.484
Ga 2.139 0.000 2.828
Ga 2.139 0.000 8.484
Ga 2.139 2.139 1.251
Ga 2.139 2.139 10.061
```

Principal peaks in the range 10 to 90 degrees two-theta, in order of rising 2θ:
15.67°, I 38
22.22°, I 57
31.63°, I 29
33.60°, I 100
42.26°, I 68
43.83°, I 81
45.35°, I 39
63.71°, I 24
78.37°, I 28
81.62°, I 25


No. 4
The following is a theoretical PXRD pattern of NaGa. It was derived from a PBE-relaxed structure, using CuKα.
No peak broadening, texture or thermal motion is included.

Atomic structure:
```
8
Lattice="5.835 0.000 0.000 0.000 8.596 0.000 0.000 0.000 4.499" Properties=species:S:1:pos:R:3 pbc="T T T"
Na 0.000 1.501 1.125
Na 0.000 7.095 3.374
Na 2.917 2.797 3.374
Na 2.917 5.799 1.125
Ga 0.000 3.846 3.374
Ga 0.000 4.750 1.125
Ga 2.917 0.452 1.125
Ga 2.917 8.144 3.374
```

Principal peaks in the range 10 to 90 degrees two-theta, in order of rising 2θ:
18.38°, I 100
20.67°, I 21
28.73°, I 42
30.65°, I 41
34.89°, I 25
40.09°, I 19
40.40°, I 33
42.50°, I 29
44.43°, I 20
59.72°, I 19


No. 5
The following is a theoretical PXRD pattern of NaGa. It was derived from a PBE-relaxed structure, using CuKα.
No peak broadening, texture or thermal motion is included.

Atomic structure:
```
8
Lattice="6.057 0.000 0.000 0.000 6.794 0.000 0.000 0.000 4.898" Properties=species:S:1:pos:R:3 pbc="T T T"
Na 0.000 0.914 1.224
Na 0.000 5.879 3.673
Na 3.028 2.482 3.673
~~~

• To do:
Duplicate only the last part of the listing further above, starting with the line that has "2.737".

• Done:
N 3.221 -2.008 2.737
N 7.093 0.763 0.016
N 4.723 -2.008 5.269
N 6.820 -0.763 2.685
```

Principal peaks in the range 10 to 90 degrees two-theta, in order of rising 2θ:
33.75°, I 100
34.95°, I 62
35.47°, I 48
38.30°, I 34
44.60°, I 16
45.03°, I 39
53.45°, I 17
60.21°, I 15
60.79°, I 15
67.49°, I 16


No. 3
The following is a theoretical PXRD pattern of NaGa4. It was derived from a PBE-relaxed structure, using CuKα.
No peak broadening, texture or thermal motion is included.

Atomic structure:
```
10
Lattice="4.277 0.000 0.000 0.000 4.277 0.000 0.000 0.000 11.312" Properties=species:S:1:pos:R:3 pbc="T T T"
Na 0.000 0.000 0.000
Na 2.139 2.139 5.656
Ga 0.000 0.000 4.405
Ga 0.000 0.000 6.906
Ga 0.000 2.139 2.828
Ga 0.000 2.139 8.484
Ga 2.139 0.000 2.828
Ga 2.139 0.000 8.484
Ga 2.139 2.139 1.251
Ga 2.139 2.139 10.061
```

Principal peaks in the range 10 to 90 degrees two-theta, in order of rising 2θ:
15.67°, I 38
22.22°, I 57
31.63°, I 29
33.60°, I 100
42.26°, I 68
43.83°, I 81
45.35°, I 39
63.71°, I 24
78.37°, I 28
81.62°, I 25


No. 4
The following is a theoretical PXRD pattern of NaGa. It was derived from a PBE-relaxed structure, using CuKα.
No peak broadening, texture or thermal motion is included.

Atomic structure:
```
8
Lattice="5.835 0.000 0.000 0.000 8.596 0.000 0.000 0.000 4.499" Properties=species:S:1:pos:R:3 pbc="T T T"
Na 0.000 1.501 1.125
Na 0.000 7.095 3.374
Na 2.917 2.797 3.374
Na 2.917 5.799 1.125
Ga 0.000 3.846 3.374
Ga 0.000 4.750 1.125
Ga 2.917 0.452 1.125
Ga 2.917 8.144 3.374
```

Principal peaks in the range 10 to 90 degrees two-theta, in order of rising 2θ:
18.38°, I 100
20.67°, I 21
28.73°, I 42
30.65°, I 41
34.89°, I 25
40.09°, I 19
40.40°, I 33
42.50°, I 29
44.43°, I 20
59.72°, I 19


No. 5
The following is a theoretical PXRD pattern of NaGa. It was derived from a PBE-relaxed structure, using CuKα.
No peak broadening, texture or thermal motion is included.

Atomic structure:
```
8
Lattice="6.057 0.000 0.000 0.000 6.794 0.000 0.000 0.000 4.898" Properties=species:S:1:pos:R:3 pbc="T T T"
Na 0.000 0.914 1.224
Na 0.000 5.879 3.673
Na 3.028 2.482 3.673